Explosion Volume Flux Comparison Using Seismically Derived Tilt, Infrasound and Gas Data at Stromboli Volcano, Italy
Date: 4/26/2019
Time: 01:45 PM
Room: Puget Sound
Basaltic volcanoes are characterized by low-level explosions and lava fountaining, but are capable of violent subplinian to plinian eruptions. Stromboli Volcano has been observed with seismometers and tiltmeters to deform prior to explosion [Genco and Ripepe, 2010]. Quantitatively linking this precursory deformation, often interpreted as inflation due to an influx of magma and gas, with the volume of subsequent erupted material (gas and tephra) will be helpful for understanding eruption dynamics and in hazard mitigation, as we can better constrain expected volatile output from monitored volume input.
To these aims, we temporarily deployed 7 seismometers, 7 infrasonic microphones, an FTIR, FLIR, gravimeter, and MultiGAS at Stromboli Volcano, Italy in May 2018. We use these data in combination with data from permanently installed seismometers, infrasound sensors, tiltmeters, and a UV camera to examine the volatile budget of Stromboli by comparing shallow volume input derived from broadband, tilt-affected seismic and tilt data with volume output from infrasound and gas data. First, we characterize and locate the seismically-derived tilt source using a nonlinear moment tensor inversion method [Tape and Tape, 2012; Waite and Lanza, 2016] and use the result to quantify the volatile volume input. Initial inversion results place the tilt-affected source ~300 m below the active craters. We will attempt to characterize the input volume density using gravity data. Independently, we characterize and locate the infrasonic explosion source and quantify the output volume using an infrasonic waveform inversion technique that accounts for the influence of topography by computing numerical Green’s functions by way of a 3-D finite difference time domain method [Kim et al., 2015]. The seismically estimated volume input and infrasonically estimated volume output will then be validated with volume output estimated from gas observations. This quantitative examination of tilt, infrasound and gas data aims to advance our ability to determine the size of eruption prior to its occurrence.
Presenting Author: Kathleen F. McKee
Kathleen F McKee kfmckee@carnegiescience.edu Carnegie Institution for Science, Washington, District of Columbia, United States Presenting Author
Corresponding Author
David Fee dfee1@alaska.edu Alaska Volcano Observatory, Geophysical Institute, University of Alaska Fairbanks, Fairbanks, Alaska, United States |
• Here the page breaks off for data records:
=====
No. 1
Structure and computed PXRD pattern of Mg3WCl (a cell relaxed with GGA-PBE; Cu Kα (λ = 1.5418 Å)).
Intensities are scaled so that the largest is 100.

```
Mg3WCl
1.0
4.719 0.000 0.000
0.000 4.719 0.000
0.000 0.000 4.719
Mg W Cl
3 1 1
Direct
0.000 0.000 0.500
0.000 0.500 0.000
0.500 0.000 0.000
0.500 0.500 0.500
0.000 0.000 0.000
```

Most intense lines, 2θ from 10° to 80°, sorted by position:
18.80°, 4.719 Å, rel. 41
26.72°, 3.337 Å, rel. 100
32.87°, 2.725 Å, rel. 53
38.14°, 2.360 Å, rel. 46
42.85°, 2.110 Å, rel. 23
47.18°, 1.927 Å, rel. 42
55.04°, 1.668 Å, rel. 31
62.21°, 1.492 Å, rel. 18
65.61°, 1.423 Å, rel. 22
75.36°, 1.261 Å, rel. 21



No. 2
Structure and computed PXRD pattern of CsHg6Pd3 (a cell relaxed with GGA-PBE; Cu Kα (λ = 1.5418 Å)).
Intensities are scaled so that the largest is 100.

```
CsHg6Pd3
1.0
7.221 0.000 0.000
3.602 6.293 0.000
3.591 -2.033 6.097
Cs Hg Pd
1 6 3
Direct
0.000 0.000 0.000
0.318 0.202 0.506
0.510 0.972 0.995
0.541 0.511 0.983
0.698 0.486 0.505
0.969 0.522 0.988
0.971 0.837 0.509
0.175 0.426 0.239
0.453 0.776 0.322
0.499 0.257 0.747
```

Most intense lines, 2θ from 10° to 80°, sorted by position:
24.54°, 3.627 Å, rel. 46
28.53°, 3.129 Å, rel. 46
28.74°, 3.107 Å, rel. 94
28.88°, 3.091 Å, rel. 100
29.30°, 3.048 Å, rel. 70
34.74°, 2.582 Å, rel. 47
37.50°, 2.398 Å, rel. 30
37.92°, 2.373 Å, rel. 60
38.75°, 2.324 Å, rel. 58
43.34°, 2.088 Å, rel. 31



No. 3
Structure and computed PXRD pattern of SnH4Ru (a cell relaxed with GGA-PBE; Cu Kα (λ = 1.5418 Å)).
Intensities are scaled so that the largest is 100.

```
SnH4Ru
1.0
4.960 -2.099 0.000
4.960 2.099 0.000
-0.011 0.000 6.592
Sn H Ru
2 8 2
Direct
0.000 0.000 0.000
0.000 0.000 0.500
0.089 0.539 0.250
0.461 0.911 0.750
0.483 0.168 0.394
0.483 0.169 0.105
0.545 0.242 0.750
0.758 0.455 0.250
0.831 0.517 0.895
0.832 0.517 0.606
0.464 0.422 0.250
0.578 0.536 0.750
```

Most intense lines, 2θ from 10° to 80°, sorted by position:
17.88°, 4.960 Å, rel. 100
22.43°, 3.963 Å, rel. 15
35.80°, 2.508 Å, rel. 88
37.20°, 2.417 Å, rel. 13
43.09°, 2.099 Å, rel. 13
44.40°, 2.040 Å, rel. 30
47.01°, 1.933 Å, rel. 17
59.06°, 1.564 Å, rel. 9
74.24°, 1.277 Å, rel. 10
75.86°, 1.254 Å, rel. 8



No. 4
Structure and computed PXRD pattern of Ac3Tb2Cd3 (a cell relaxed with GGA-PBE; Cu Kα (λ = 1.5418 Å)).
Intensities are scaled so that the largest is 100.

```
Ac3Tb2Cd3
1.0
-1.975 2.881 11.718
1.975 -2.881 11.718
1.975 2.881 -11.718
Ac Tb Cd
3 2 3
Direct
0.000 0.000 0.000
0.375 0.875 0.500
0.625 0.125 0.500
0.235 0.235 0.000
0.765 0.765 0.000
0.128 0.628 0.500
0.500 0.500 0.000
0.872 0.372 0.500
```

Most intense lines, 2θ from 10° to 80°, sorted by position:
30.51°, 2.930 Å, rel. 24
31.05°, 2.881 Å, rel. 27
31.42°, 2.847 Å, rel. 100
44.09°, 2.054 Å, rel. 18
45.95°, 1.975 Å, rel. 9
54.80°, 1.675 Å, rel. 16
55.47°, 1.657 Å, rel. 20
56.49°, 1.629 Å, rel. 10
65.57°, 1.424 Å, rel. 11
73.18°, 1.293 Å, rel. 11



No. 5
=====
Gregory P Waite gpwaite@mtu.edu Michigan Technological University, Houghton, Michigan, United States |
Diana C Roman droman@carnegiescience.edu Carnegie Institution for Science, Washington, District of Columbia, United States |
Maurizio Ripepe maurizio.ripepe@unifi.it University of Florence, Florence, , Italy |
Alessandro Aiuppa alessandro.aiuppa@unipa.it University of Palermo, Palermo, , Italy |
=====
1.
Diffraction record for Np2SnSe6. The powder diffraction line list is simulated, not measured: it uses a DFT-relaxed cell (PBE, Alexandria) and a wavelength of 1.5418 Å.
Intensities are scaled so that the largest is 100.

Largest 10 diffraction maxima, sorted by position, 5 to 70 degrees two-theta:
9.561 Å, 9.25°, intensity 18
4.088 Å, 21.74°, intensity 100
3.767 Å, 23.62°, intensity 27
2.566 Å, 34.97°, intensity 30
2.432 Å, 36.96°, intensity 45
2.232 Å, 40.42°, intensity 47
2.044 Å, 44.32°, intensity 18
2.020 Å, 44.87°, intensity 30
1.884 Å, 48.32°, intensity 22
1.489 Å, 62.34°, intensity 17

Structure:
a = 10.2762 Å, b = 10.2762 Å, c = 10.2762 Å
α = 149.95°, β = 149.95°, γ = 43.01°
Element x y z (fractional)
Np (0.1880, 0.1880, 0.0000)
Np (0.8120, 0.8120, 0.0000)
Sn (0.5000, 0.5000, 0.0000)
Se (0.1410, 0.7071, 0.0000)
Se (0.2500, 0.7500, 0.5000)
Se (0.2929, 0.2929, 0.4339)
Se (0.7071, 0.1410, 0.0000)
Se (0.7500, 0.2500, 0.5000)
Se (0.8590, 0.8590, 0.5661)



2.
Diffraction record for Sc6BiRh2. The powder diffraction line list is simulated, not measured: it uses a DFT-relaxed cell (PBE, Alexandria) and a wavelength of 1.5418 Å.
Intensities are scaled so that the largest is 100.

Largest 10 diffraction maxima, sorted by position, 5 to 70 degrees two-theta:
4.896 Å, 18.12°, intensity 46
4.441 Å, 20.00°, intensity 81
3.880 Å, 22.92°, intensity 41
2.667 Å, 33.61°, intensity 68
2.527 Å, 35.53°, intensity 38
2.478 Å, 36.25°, intensity 100
2.428 Å, 37.02°, intensity 39
2.285 Å, 39.44°, intensity 33
2.220 Å, 40.63°, intensity 33
1.863 Å, 48.88°, intensity 37

Structure:
a = 8.0273 Å, b = 8.0273 Å, c = 8.0273 Å
α = 112.83°, β = 110.86°, γ = 104.83°
Element x y z (fractional)
Sc (0.0222, 0.2363, 0.7859)
Sc (0.1851, 0.2935, 0.4785)
Sc (0.1851, 0.7065, 0.8916)
Sc (0.3289, 0.0251, 0.6962)
Sc (0.3289, 0.6327, 0.3038)
Sc (0.4504, 0.2363, 0.2141)
Sc (0.5496, 0.7637, 0.7859)
Sc (0.6711, 0.3673, 0.6962)
Sc (0.6711, 0.9749, 0.3038)
Sc (0.8149, 0.2935, 0.1084)
Sc (0.8149, 0.7065, 0.5215)
Sc (0.9778, 0.7637, 0.2141)
Bi (0.0000, 0.0000, 0.0000)
Bi (0.5000, 0.5000, 0.0000)
Rh (0.1383, 0.6383, 0.5000)
Rh (0.3400, 0.0000, 0.3400)
Rh (0.6600, 0.0000, 0.6600)
Rh (0.8617, 0.3617, 0.5000)



3.
Diffraction record for Pu2Ir3Pt. The powder diffraction line list is simulated, not measured: it uses a DFT-relaxed cell (PBE, Alexandria) and a wavelength of 1.5418 Å.
Intensities are scaled so that the largest is 100.

Largest 10 diffraction maxima, sorted by position, 5 to 70 degrees two-theta:
2.693 Å, 33.26°, intensity 23
2.685 Å, 33.38°, intensity 22
2.295 Å, 39.26°, intensity 100
2.289 Å, 39.37°, intensity 35
2.198 Å, 41.07°, intensity 35
2.189 Å, 41.25°, intensity 11
1.554 Å, 59.49°, intensity 13
1.465 Å, 63.52°, intensity 34
1.462 Å, 63.66°, intensity 8
1.347 Å, 69.84°, intensity 19

Structure:
a = 5.3694 Å, b = 5.3694 Å, c = 5.3694 Å
α = 60.21°, β = 60.21°, γ = 60.21°
Element x y z (fractional)
Pu (0.1239, 0.1239, 0.1239)
Pu (0.8761, 0.8761, 0.8761)
=====
## Back to the text
Simon Carn scarn@mtu.edu Michigan Technological University, Houghton, Michigan, United States |
Hélène Le Mével hlemevel@carnegiescience.edu Carnegie Institution for Science, Washington, District of Columbia, United States |
Dario Delle Donne dario.delledonne@unipa.it University of Palermo, Palermo, , Italy |
Marcello Bitetto marcello.bitetto@unipa.it University of Palermo, Palermo, , Italy |
Giorgio Lacanna giorgio.lacanna@unifi.it University of Florence, Florence, , Italy |
Christine Sealing christine.sealing@gmail.com Drexel University, Philadelphia, Pennsylvania, United States |
These materials data were left in the text by mistake:
/*
# Li2Cr3O6
Computed XRD peak list, Cu Kα (λ = 1.5418 Å). Input: a cell relaxed with GGA+U.

Peak list (10 most intense, 10° ≤ 2θ ≤ 90°, low angle first)
2θ = 17.5°, d 5.063, I 100, (0 0 2)
2θ = 35.0°, d 2.562, I 7, (0 2 0)
2θ = 35.9°, d 2.500, I 28, (3 1 1)
2θ = 39.2°, d 2.299, I 9, (3 1 2)
2θ = 39.4°, d 2.286, I 15, (0 2 2)
2θ = 44.2°, d 2.050, I 32, (3 1 3)
2θ = 50.7°, d 1.801, I 13, (0 2 4)
2θ = 57.9°, d 1.593, I 17, (3 1 5)
2θ = 63.4°, d 1.467, I 15, (3 3 1)
2θ = 65.1°, d 1.432, I 5, (6 0 2)

Crystal structure
Lattice parameters (Å, degrees): 8.9577 5.1250 10.1263 90.00 90.00 90.00
Space group Cmce (No. 64)
Unique sites:
Li  0.2500  0.1065  0.2500
Cr  0.0000  0.0000  0.0000
Cr  0.1660  0.0000  0.5000
O  0.0000  0.1799  0.5933
O  0.1690  0.1605  0.8937


No. 1
The following is a theoretical powder X-ray diffraction pattern of Ni5Pd5Pt2. It was derived from a GGA-PBE-relaxed structure, using Cu Kα.
Lines closer than 0.1° are merged.

Peak list (12 most intense, 2θ from 10° to 90°, by intensity)
h k l, 2theta, I/Imax
3 1 -3, 41.1, 100
6 0 -2, 46.9, 17
0 0 4, 47.4, 16
0 2 0, 49.2, 15
3 3 -3, 86.5, 11
1 1 0, 25.5, 11
0 2 4, 70.7, 10
6 2 -2, 70.3, 10
9 1 -5, 83.1, 6
9 1 -1, 83.2, 6
3 1 -7, 83.7, 6
3 1 5, 83.8, 6

```
data_Ni5Pd5Pt2
_chemical_formula_sum 'Ni10 Pd10 Pt4'
_cell_length_a 11.615
_cell_length_b 3.705
_cell_length_c 8.608
_cell_angle_alpha 90.00
_cell_angle_beta 116.86
_cell_angle_gamma 90.00
_symmetry_space_group_name_H-M 'C 1 2/m 1'
_symmetry_Int_Tables_number 12
_symmetry_space_group_name_Hall '-C 2y'
loop_
_atom_site_label
_atom_site_fract_x
_atom_site_fract_y
_atom_site_fract_z
Ni1 0.000 0.000 0.000
Ni2 0.078 0.000 0.747
Ni3 0.169 0.000 0.500
Pd1 0.000 0.500 0.500
Pd2 0.161 0.500 0.996
Pd3 0.245 0.500 0.742
Pt1 0.084 0.500 0.257
```


No. 2
The following is a theoretical powder X-ray diffraction pattern of Tl2Hg5Au3. It was derived from a GGA-PBE-relaxed structure, using Cu Kα.
Lines closer than 0.1° are merged.

Peak list (12 most intense, 2θ from 10° to 90°, by intensity)
h k l, 2theta, I/Imax
1 1 2, 31.9, 100
2 0 0, 41.8, 50
1 1 4, 39.0, 45
1 0 5, 38.1, 22
3 1 2, 70.1, 22
2 0 6, 58.0, 20
1 0 3, 28.1, 18
2 2 0, 60.6, 17
0 0 6, 38.4, 16
1 0 4, 32.8, 14
3 1 4, 74.4, 14
2 1 5, 57.9, 13

```
data_Tl2Hg5Au3
_chemical_formula_sum 'Tl2 Hg5 Au3'
_cell_length_a 4.324
_cell_length_b 4.324
_cell_length_c 14.077
_cell_angle_alpha 90.00
_cell_angle_beta 90.00
_cell_angle_gamma 90.00
_symmetry_space_group_name_H-M 'P -4 m 2'
_symmetry_Int_Tables_number 115
_symmetry_space_group_name_Hall 'P -4 -2'
loop_
_atom_site_label
_atom_site_fract_x
_atom_site_fract_y
_atom_site_fract_z
Tl1 0.000 0.500 0.207
Hg1 0.000 0.000 0.500
Hg2 0.000 0.500 0.663
Hg3 0.500 0.500 0.000
Hg4 0.500 0.500 0.500
Au1 0.000 0.000 0.000
Au2 0.000 0.500 0.861
```


No. 3
The following is a theoretical powder X-ray diffraction pattern of VCdCl. It was derived from a GGA-PBE-relaxed structure, using Cu Kα.
Lines closer than 0.1° are merged.
*/
Valeria Cigala valeria.cigala@min.uni-muenchen.de Ludwig Maximilian University of Munich, Munich, , Germany |
Giancarlo Tamburello giancarlo.tamburello@ingv.it Istituto Nazionale di Geofisica e Vulcanologia, Bologna, , Italy |
Explosion Volume Flux Comparison Using Seismically Derived Tilt, Infrasound and Gas Data at Stromboli Volcano, Italy
Observations of Volcanism in the Three Spheres: Land, Air and Sea